Source:
┌──
1.
The following is a PBE calculation of an optimized crystal structure of BeZnAu4, from Alexandria via LeMat-Bulk.

Lattice parameters (Å, degrees): 3.9677 4.0251 6.6802 90.72 90.06 92.54
Space group P-1 (No. 2)
One atom of each set of equivalent atoms:
Be  0.0000  0.0000  0.0000 x1
Zn  0.5000  0.5000  0.5000 x1
Au  0.0006  0.4998  0.7788 x2
Au  0.5002  0.0011  0.7763 x2

Results
- formation energy (eV/atom) = -0.096
- polymorph energy (0 for the lowest one) (meV/atom) = 45



2.
The following is a PBE calculation of an optimized crystal structure of BeZnAu2, from Alexandria via LeMat-Bulk.

Lattice parameters (Å, degrees): 2.9450 2.9450 24.4265 90.00 90.00 120.00
Space group R-3m (No. 166, hexagonal axes)
One atom of each set of equivalent atoms:
Be  0.0000  0.0000  0.0000 x3
Zn  0.0000  0.0000  0.5000 x3
Au  0.0000  0.0000  0.2603 x6

Results
- formation energy (eV/atom) = -0.050
- polymorph energy (0 for the lowest one) (meV/atom) = 107



3.
The following is a PBE calculation of an optimized crystal structure of BeZnAu4, from Alexandria via LeMat-Bulk.

Lattice parameters (Å, degrees): 7.4842 11.2190 4.9489 90.00 111.78 90.00
Space group C2/c (No. 15)
One atom of each set of equivalent atoms:
Be  0.0000  0.0037  0.2500 x4
Zn  0.0000  0.3795  0.2500 x4
Au  0.1115  0.1777  0.5702 x8
Au  0.2067  0.4152  0.8401 x8

Results
- formation energy (eV/atom) = -0.141
- polymorph energy (0 for the lowest one) (meV/atom) = 0



4.
The following is a PBE calculation of an optimized crystal structure of BeZnAu2, from Alexandria via LeMat-Bulk.

Lattice parameters (Å, degrees): 3.0643 4.4045 4.8667 107.57 107.48 90.05
Space group P1 (No. 1)
One atom of each set of equivalent atoms:
Be  0.0000  0.0000  0.0000 x1
Zn  0.2528  0.6744  0.5321 x1
Au  0.4900  0.4783  0.0069 x1
Au  0.7144  0.1306  0.4416 x1

Results
- formation energy (eV/atom) = -0.097
- polymorph energy (0 for the lowest one) (meV/atom) = 60



5.
The following is a PBE calculation of an optimized crystal structure of Be2ZnAu4, from Alexandria via LeMat-Bulk.

Lattice parameters (Å, degrees): 6.5527 6.5527 11.1234 90.00 90.00 90.00
Space group I4_1/a (No. 88, origin choice 2)
One atom of each set of equivalent atoms:
Be  0.0000  0.0000  0.0000 x8
Zn  0.0000  0.2500  0.6250 x4
Au  0.1462  0.0609  0.8194 x16

Results
- formation energy (eV/atom) = 0.054
- polymorph energy (0 for the lowest one) (meV/atom) = 138



6.
The following is a PBE calculation of an optimized crystal structure of BeZn2Au, from Alexandria via LeMat-Bulk.

Lattice parameters (Å, degrees): 4.8104 4.8711 4.9263 95.27 98.03 94.03
Space group P1 (No. 1)
One atom of each set of equivalent atoms:
Be  0.0000  0.0000  0.0000 x1
Be  0.2701  0.8331  0.4414 x1
Zn  0.2376  0.5900  0.8970 x1
Zn  0.3249  0.3328  0.3532 x1
Zn  0.7068  0.6261  0.6871 x1
Zn  0.8309  0.5488  0.1910 x1
Au  0.4731  0.1096  0.8716 x1
Au  0.8369  0.0787  0.4461 x1

Results
- formation energy (eV/atom) = -0.035

* * * * *

K2ZrMn after structural relaxation, computed with PBE.

Calculated values
The value obtained for the density of states at the Fermi level is 5.230 states/eV per cell. The value obtained for the energy relative to the elements is 872 meV per atom. The value obtained for the calculated volume is 144 Å³/f.u. Its uncorrected energy is -4.11 eV per atom. The energy relative to the lowest polymorph listed for this composition is 0.306 eV/atom.

a b c (Å): 7.4095 7.4095 7.4095
angles (deg): 153.61 126.89 60.26
Closest atoms and distances in Å follow each position.
Element x y z (fractional)
K 0.0000 0.0000 0.0000  2 K 3.38, 2 Mn 3.58
K 0.7013 0.2013 0.5000  2 K 3.38, 4 Mn 3.76
Zr 0.3931 0.3931 0.0000  2 Mn 2.53
Mn 0.2465 0.7465 0.5000  2 Zr 2.53
└──
Assignment:
Could you retype the part of the lines earlier on that starts with the line with "0.3795" and stops after the one with "0.7144"?
Reply:
Zn  0.0000  0.3795  0.2500 x4
Au  0.1115  0.1777  0.5702 x8
Au  0.2067  0.4152  0.8401 x8

Results
- formation energy (eV/atom) = -0.141
- polymorph energy (0 for the lowest one) (meV/atom) = 0



4.
The following is a PBE calculation of an optimized crystal structure of BeZnAu2, from Alexandria via LeMat-Bulk.

Lattice parameters (Å, degrees): 3.0643 4.4045 4.8667 107.57 107.48 90.05
Space group P1 (No. 1)
One atom of each set of equivalent atoms:
Be  0.0000  0.0000  0.0000 x1
Zn  0.2528  0.6744  0.5321 x1
Au  0.4900  0.4783  0.0069 x1
Au  0.7144  0.1306  0.4416 x1